Material >
P) A cluster of 2 separate species, C11H18 in total. Source: the Open Molecules 2025 dataset; level of theory: ωB97M-V/def2-TZVPD.

Output
* spin multiplicity: 1
* E_LUMO: 1.043 eV
* HOMO: -0.3377 Ha
* orbital gap: 10.23 eV

CARTESIAN COORDINATES (ANGSTROEM)
C 0.15 -2.76 0.62
C -0.59 -1.95 -0.43
C -1.89 -1.33 0.05
C -2.62 -0.51 -1.00
C -3.95 0.07 -0.51
C 3.03 1.83 0.06
C 2.15 1.56 -1.03
C 0.89 1.04 -0.81
C 0.57 0.63 0.48
C 1.39 1.13 1.47
C 2.65 1.67 1.29
H 0.46 -2.13 1.47
H -0.51 -3.55 1.03
H 1.05 -3.22 0.20
H -0.80 -2.58 -1.29
H 0.05 -1.14 -0.80
H -2.56 -2.13 0.42
H -1.70 -0.70 0.93
H -2.83 -1.15 -1.87
H -1.99 0.31 -1.37
H -3.81 0.73 0.34
H -4.42 0.65 -1.31
H -4.65 -0.72 -0.21
H 4.16 2.10 -0.31
H 2.63 1.74 -2.03
H 0.35 0.61 -1.76
H -0.37 0.18 0.71
H 0.90 0.98 2.45
H 3.36 1.73 2.20

***

Q) An isolated molecule of C11H18. Source: the Open Molecules 2025 dataset; level of theory: ωB97M-V/def2-TZVPD.

Output
* spin multiplicity: 1
* E_LUMO: 0.889 eV
* HOMO: -0.2866 Ha
* orbital gap: 8.69 eV

CARTESIAN COORDINATES (ANGSTROEM)
C 0.61 0.84 1.43
C -0.69 0.49 0.89
C 1.25 1.26 0.36
C 1.94 1.92 -0.52
C -0.56 0.01 -0.37
C 1.11 0.67 2.82
C -1.93 1.02 1.54
C -1.77 0.05 -1.28
C -0.14 -2.42 -0.58
C 0.93 -0.89 -2.25
C 0.47 -1.03 -0.79
H 2.49 1.43 -1.30
H 1.90 3.00 -0.58
H 1.86 1.42 3.06
H 1.56 -0.32 2.95
H 0.28 0.76 3.53
H -2.81 0.87 0.92
H -1.83 2.08 1.77
H -2.08 0.48 2.48
H -2.54 -0.64 -0.95
H -1.51 -0.20 -2.30
H -2.19 1.06 -1.29
H -0.48 -2.53 0.45
H 0.61 -3.18 -0.78
H -0.99 -2.58 -1.24
H 1.86 -1.45 -2.39
H 1.11 0.15 -2.51
H 0.20 -1.30 -2.93
H 1.35 -0.96 -0.15

***

Relative energies, unit hartree: P) 0.0000; Q) 0.0553

* * * * *

Entry from OMol25: a 2-piece molecular cluster, C10H16 overall in a non-equilibrium geometry (wB97M-V/def2-TZVPD).

Each line ends with the Mulliken charge.
Positions of all 26 atoms, in Å:
C -2.31530 -2.33537 0.70588  -0.328
C -2.24098 -1.94849 -0.79517  -0.557
C -0.94650 -2.16355 1.44113  -0.678
H -2.91783 -3.28673 0.72834  0.401
H -2.85804 -1.53450 1.28070  0.158
H -2.74719 -2.88955 -1.20404  0.286
H -2.91066 -1.06811 -0.97930  0.191
H -0.99523 -1.08354 1.86292  0.120
H -0.16054 -2.26260 0.64972  0.100
H -1.25752 -1.71813 -1.08255  0.014
H -0.73551 -2.93701 2.22349  0.330
C 1.60664 1.64797 1.99186  -1.592
C 0.62823 0.78386 -2.04464  -0.261
C 1.31237 -0.22756 -1.29279  -0.491
C 0.06979 1.92906 -1.39092  -0.436
C 1.61662 0.14239 -0.00384  -0.106
C 0.09996 2.11846 0.01147  -0.576
C 1.05579 1.29318 0.61060  0.943
H 0.50863 0.26784 -3.01400  0.388
H 2.04066 -0.96480 -1.77858  0.362
H -0.45936 2.52708 -2.12495  0.407
H 2.45416 -0.27326 0.63540  0.367
H -0.39371 2.75339 0.57773  0.620
H 1.72276 0.75223 2.55118  0.440
H 0.84898 2.25389 2.42185  0.442
H 2.54067 2.02410 1.85055  0.454

- Spin multiplicity: 2
- Expectation value of S²: 0.769
- E: -10618.1872 eV
- Relative energy (zero: lowest compared OMol25 entry of this formula, charge and spin): 259.2 kJ/mol
- Net charge: +1

Entry from OMol25: one molecule with the formula C12H22O11 in a non-equilibrium geometry (wB97M-V/def2-TZVPD).

Each line ends with the Mulliken charge.
Positions of all 45 atoms, in Å:
O 3.50237 -0.48855 2.38952  -0.541
C 2.90877 0.50771 2.05758  0.079
C 3.10328 1.19010 0.72468  -0.077
O 2.31959 2.32769 0.54430  -0.683
C 2.89958 0.12491 -0.39985  -0.531
O 3.85752 -0.88540 -0.25794  -0.741
C 1.42657 -0.35893 -0.40859  0.121
O 0.99885 -0.54217 0.94346  -0.362
C -0.33741 -0.27557 1.22203  -0.605
O -1.14170 -0.93090 0.27461  -0.012
C -2.53984 -0.84726 0.45878  -0.210
C -3.14071 -1.58824 -0.74960  -0.741
O -2.81380 -0.97437 -1.96907  -0.658
C -3.03792 0.60600 0.55784  -0.063
O -2.90525 1.34670 -0.62882  -0.642
C -2.20783 1.33958 1.61944  -0.815
O -2.55762 2.69383 1.71468  -0.636
C -0.72324 1.21794 1.23888  0.702
O 0.06515 1.93228 2.16272  -0.499
C 1.18456 -1.63400 -1.26403  0.319
O 2.10789 -2.66755 -1.11221  -0.700
C 1.04340 -1.23478 -2.74611  -0.906
O -0.13640 -0.46397 -2.88504  -0.499
H 2.20548 1.01615 2.73670  0.278

Exercise >
Restate every line above that contains the word "Mulliken".

Solution >
Each line ends with the Mulliken charge.
Each line ends with the Mulliken charge.